I think someone must have replaced my mirror with one of those funhouse mirrors. You know, the ones that distort your reflection into all sorts of odd configurations? The only problem is that it’s not that funny! Some days I find myself struggling to recognize the lady with the aging face and body staring back at me. Who is she? Why did she kidnap my youth and how much is the ransom for her return?
Turns out not only is it not for sissies, it is also not easy for many of the rest of us. I’d like to believe I’ve done enough inner work to slay my little vanity dragon and embrace “aging gracefully” as it were. The truth is that dragon is still breathing some fire.
I’m becoming more and more aware of those not so fine lines coupled with the increase in skin laxity (and crepiness) that accompany aging. Not to mention all the little aches and pains. And while some of us are luckier than others, most of us in the 60+ camp are dealing with one or more physical aspects of aging. Well, that is with the exception of Cher!
(Misplaced data records)
+++
Formula: C10H24P
Source: the Open Molecules 2025 dataset
Level of theory: ωB97M-V/def2-TZVPD

* energy above the lowest of the compared OMol25 structures with the same formula, charge and spin: 0.00 kJ/mol
* HOMO: -14.54 eV
* net charge: +1

Each line ends with the Löwdin charge.
Cartesian coordinates (Å):
C  2.9504  1.7442  -0.0669  -0.067
C  2.9762  -0.6689  -0.9714  -0.078
C  -2.3602  0.7128  1.2361  -0.141
C  -1.1799  1.8420  -0.5581  -0.026
C  -2.7911  -0.1191  -1.0125  -0.074
C  -0.8583  -1.7087  1.7792  -0.193
C  -0.1552  -2.0058  -0.9333  -0.180
C  1.1602  0.0810  0.7500  -0.259
C  2.0437  0.4975  -0.4897  -0.446
C  -1.7874  0.4600  -0.1064  -0.649
P  -0.4260  -0.7403  0.2965  0.971
H  3.5776  2.0116  -0.9477  0.092
H  3.5520  1.5979  0.8241  0.080
H  2.3775  2.6478  0.0673  0.064
H  3.6558  -0.9493  -0.0959  0.107
H  3.5875  -0.2423  -1.8172  0.093
H  2.5043  -1.5958  -1.4313  0.070
H  -1.6995  1.1724  1.9789  0.099
H  -2.9389  -0.1285  1.7594  0.115
H  -3.0869  1.5152  1.1505  0.099
H  -1.0576  2.0331  -1.5900  0.079
H  -0.1292  1.8886  -0.1928  0.058
H  -1.7533  2.6622  -0.2441  0.077
H  -2.4167  -0.4357  -1.9388  0.075
H  -3.3197  -0.8809  -0.5233  0.072
H  -3.6554  0.5894  -1.1801  0.136
H  -0.5640  -1.2802  2.7823  0.095
H  -0.2997  -2.6208  1.7036  0.035
H  -1.9480  -2.1489  1.6231  0.116
H  0.3040  -1.6497  -1.7910  0.024
H  -1.0218  -2.6134  -1.0326  0.052
H  0.6328  -2.8495  -0.5827  0.137
H  1.8197  -0.7169  1.2798  0.131
H  0.8651  0.9262  1.5183  0.139
H  1.4421  0.9731  -1.2434  0.098



Formula: C6H8N2
Source: the Open Molecules 2025 dataset
Level of theory: ωB97M-V/def2-TZVPD

* SMILES string: C1=NN=CC12CCC2
* energy above the lowest of the compared OMol25 structures with the same formula, charge and spin: 393.11 kJ/mol
* HOMO: -9.80 eV
* net charge: 0

Each line ends with the Löwdin charge.
Cartesian coordinates (Å):
C  1.4130  0.0300  -0.8352  -0.204
C  0.7004  -1.1396  -0.1416  -0.073
C  -0.3794  -0.0550  0.2624  -0.438
C  0.7089  1.0988  -0.0037  -0.092
C  -1.0162  -0.1905  1.5029  -0.084
C  -1.5220  0.2410  -0.6328  -0.107
H  2.5604  0.3307  -0.8763  0.143
H  1.0634  0.2624  -1.8374  0.098
H  1.2161  -1.5645  0.7495  0.113
H  0.6532  -2.0887  -0.7844  0.134
H  1.2864  1.2801  0.8806  0.105
H  0.4477  2.0074  -0.3505  0.072
H  -0.4788  -0.7269  2.3157  0.131
H  -1.7125  0.7619  -1.5798  0.133
N  -2.3422  -0.4123  1.2929  0.060
N  -2.5985  0.1653  0.0376  0.011



Formula: CH3O3
Source: the Open Molecules 2025 dataset
Level of theory: ωB97M-V/def2-TZVPD

* energy above the lowest of the compared OMol25 structures with the same formula, charge and spin: 17.80 kJ/mol
* HOMO: -4.27 eV
* net charge: -1

Each line ends with the Löwdin charge.
Cartesian coordinates (Å):
O  1.3785  -0.7104  -1.5708  -0.125
H  0.5560  -0.3455  -1.1752  -0.012
O  -0.5228  0.8368  2.1350  -0.114
C  -0.8187  0.6457  0.9550  -0.673
O  -0.6582  -0.3842  0.2315  -0.170
H  -1.4029  1.4673  0.4689  0.083
H  1.4681  -1.5097  -1.0443  0.010
+++
Is it just me or does anyone else feel like the bar on maintaining one’s youth continues to rise? Do we ever have permission to relax and accept the natural aging process? The truth is, there’s a lot of money to be made by convincing us we need to fight the natural aging process and strive for the images presented to us by marketers and the media.
# Data records that have nothing to do with the entry
{
  "formula": "S2",
  "method": "wB97M-V/def2-TZVPD",
  "species": ["S", "S"],
  "positions_angstrom": [[0.000, 0.000, 1.798], [0.000, 0.000, -1.798]],
  "atomic_forces_ev_per_a": [[0.000, 0.000, -2.710], [0.000, 0.000, 2.710]],
  "spin_multiplicity": 1,
  "relative_energy_kj_mol": 725.28,
  "largest_force_ev_per_a": 2.71,
  "total_charge": 0
}

* * * * *

1.
Here is an isolated molecule of C21H17Br2N3 in a non-equilibrium geometry from the Open Molecules 2025 dataset. Energies are from ωB97M-V with the def2-TZVPD basis set.

Its total energy is -6122.6740 Ha. The calculation puts the molecular weight at 471.20 g mol⁻¹. As for the HOMO-LUMO gap: 8.22 eV. Its strongest force on any atom is 6.5 eV Å⁻¹. The HOMO energy is -8.33 eV. Its spin multiplicity is 1.

Cartesian coordinates (Å):
N 0.8398 1.6529 4.6038
C 1.2906 1.2888 3.4573
N 0.3083 1.2720 2.5950
C 0.4957 0.7695 1.3456
C 1.7788 0.3660 1.0213
C 2.8047 0.2928 2.0390
C 4.0626 -0.2155 1.6234
C 5.1263 0.6460 1.3942
C 6.2824 0.0389 0.7336
C 6.4163 -1.3213 0.6445
Br 7.8141 -2.3208 -0.2361
C 5.3823 -2.1307 0.9783
C 4.1356 -1.5525 1.3505
N 2.4808 0.8381 3.2548
C 1.9599 -0.0368 -0.4415
C 0.9277 0.5613 -1.4806
C -0.5565 0.4152 -0.9635
C -0.6843 0.9260 0.4216
C -1.9124 1.2888 0.8816
C -3.2624 1.3812 0.1187
C -3.5973 0.3747 -0.7038
C -4.7530 0.3887 -1.4538
C -5.6258 1.5145 -1.3421
Br -7.1662 1.5222 -2.4309
C -5.3234 2.6067 -0.4540
C -4.1450 2.4842 0.3488
H 1.5299 2.1519 5.2105
H -0.0326 2.0931 4.4427
H 5.2202 1.7613 1.5635
H 7.1560 0.5954 0.4060
H 5.4282 -3.1794 0.7705
H 3.3624 -2.3078 1.4509
H 2.8553 0.4532 -0.7864
H 2.0596 -1.1355 -0.5510
H 1.1694 1.6160 -1.7871
H 1.0028 -0.0959 -2.3844
H -0.8395 -0.6372 -0.9999
H -1.3052 0.9724 -1.5752
H -1.9888 1.7547 1.8602
H -3.0375 -0.5582 -0.7582
H -4.9907 -0.5496 -2.0271
H -6.0881 3.4283 -0.4331
H -3.8265 3.3410 1.0469

Cartesian forces, eV/Å:
N 1.3 2.5 5.8
C -0.7 -1.9 -3.8
N -1.7 -0.6 -3.2
C -0.2 2.4 2.5
C 0.1 -1.3 -1.1
C -5.5 3.0 0.3
C 0.9 0.8 0.6
C 3.1 -0.5 -1.8
C -0.2 1.4 1.4
C 0.2 -0.6 -0.8
Br 0.2 0.9 0.3
C -2.8 0.3 0.2
C 2.5 -2.4 -0.3
N 4.3 -1.9 -1.3
C 0.0 0.6 -0.5
C -0.9 -1.1 0.2
C 1.0 0.7 -1.1
C -1.3 -0.9 0.8
C -0.6 1.3 -0.3
C 2.1 2.0 2.5
C -0.8 -2.0 -1.3
C -1.7 0.3 -0.1
C 1.7 -0.3 0.6
Br -0.1 0.2 0.1
C 0.0 -1.4 -0.3
C 0.0 0.9 -0.8
H -1.1 -0.8 -0.5
H -0.8 0.6 0.6
H -0.8 -1.6 -0.1
H -0.4 0.5 0.1
H 0.0 -0.4 0.2
H -0.5 0.7 0.3
H 1.0 -0.4 0.0
H -0.1 0.6 -0.1
H -0.2 -1.0 0.6
H 0.1 0.8 0.5
H 0.1 -0.1 -0.1
H 0.8 -0.5 0.1
H 0.2 -0.4 0.1
H 0.3 0.5 0.1
H -0.1 1.5 0.4
H 1.2 -0.7 0.3
H -0.6 -1.6 -1.1


2.
Here is a structure of composition C21H17ClIrN5O4Se from the Open Molecules 2025 dataset. Energies are from ωB97M-V with the def2-TZVPD basis set.
The global beauty industry is a multi-billion-dollar one. Beauty products like Botox, fillers, and plastic surgery are mainstream. Conveniently, our egos and hard-wired instinct to conform make us easy targets in a culture where the standard of beauty is becoming more and more unattainable for young and older alike.
Luckily, some prominent individuals and businesses are slowly changing the definition of what beauty looks like at all ages, including many campaigns that feature older women and also embrace broader ideals of beauty. Hopefully, that trend will continue, and more and more women will adopt a kinder, more realistic attitude towards aging and the image staring back at them in the mirror.
For those that opt to visit the plastic surgeon or use other means to slow down or alter the aging process, no shame or judgment here, that is a personal choice. That said, I think we would all benefit from being mindful of the reasons behind the choices we are making to ensure they are in alignment with our personal values and not because we feel pressure to keep up our looks.
As I transition into my 60s, I’m finding that the little aches and pains I’m experiencing, together with the cumulative impact of stress and burnout on my body, now serve as my motivators in adopting a healthier lifestyle.
It is one that includes the positive habits of eating healthy, maintaining hydration, getting plenty of exercise and sleep, and embracing a spiritual practice that aligns with my personal values and beliefs. These are truly the pillars of good health that serve as the foundation for looking our best at any age.
While I know I will continue to purchase beauty products and services that support my personal beauty goals as I age, I also pledge to do my best to shift the focus to a healthier, kinder and more realistic attitude towards aging.
To that end, the following is an offering of mindset and practice that may assist all of us in the Sixty and Me family as we navigate the intersection of health, beauty and aging:
What beauty products do you swear by? What would you say are your top three practices that contribute to a positive aging experience? Please join in the conversation and share your thoughts and attitudes on beauty and aging.
Tags Healthy Aging